_Contents_
+++
# 1
{
  "formula": "BaZrCr2",
  "functional": "meta-GGA SCAN",
  "state": "PBEsol geometry",
  "cell": [[4.977, 0.000, 0.000], [2.489, 4.310, 0.000], [2.489, 1.437, 4.064]],
  "species": ["Cr", "Cr", "Zr", "Ba"],
  "frac_coords": [[0.750, 0.750, 0.750], [0.250, 0.250, 0.250], [0.500, 0.500, 0.500], [0.000, 0.000, 0.000]],
  "de_polymorph_mev_per_atom": 60,
  "dft_energy_ev_per_atom": -25.9686,
  "formation_energy_ev_per_atom": 0.786,
  "n_ef_per_ev_cell": 3.257,
  "total_magnetization_mub_per_cell": 6.5
}

# 2
{
  "formula": "LiZnCu2",
  "functional": "meta-GGA SCAN",
  "state": "PBEsol geometry",
  "cell": [[2.932, 0.000, 0.000], [0.000, 4.046, 0.000], [0.000, 0.000, 4.046]],
  "species": ["Cu", "Cu", "Zn", "Li"],
  "frac_coords": [[0.000, 0.000, 0.500], [0.000, 0.500, 0.000], [0.500, 0.000, 0.000], [0.500, 0.500, 0.500]],
  "dft_energy_ev_per_atom": -11.6531,
  "formation_energy_ev_per_atom": -0.077,
  "n_ef_per_ev_cell": 0.971,
  "total_magnetization_mub_per_cell": 0.0
}

# 3
{
  "formula": "LiCd2Ag",
  "functional": "meta-GGA SCAN",
  "state": "PBEsol geometry",
  "cell": [[-0.895, 2.584, 3.747], [-2.225, -4.024, -0.628], [4.514, 0.011, 1.071]],
  "species": ["Cd", "Cd", "Li", "Ag"],
  "frac_coords": [[0.250, 0.500, 0.750], [0.750, 0.500, 0.250], [0.000, 0.000, 0.000], [0.500, 0.000, 0.500]],
  "de_polymorph_mev_per_atom": 0,
  "dft_energy_ev_per_atom": -23.8673,
  "formation_energy_ev_per_atom": -0.221,
  "n_ef_per_ev_cell": 0.962,
  "total_magnetization_mub_per_cell": 0.0
}

# 4
{
+++

_Brief_
Please count the lines further up that contain the word "formula" and give the number alone.

_Solution_
3